The Manifesting Lab

The Hidden Formula to Happiness

Happiness is not a destination!

Many people make the tactical error of thinking that they can go directly toward happiness. Here’s a news flash: happiness is a by-product, not a goal! We think that we can just choose happiness, and if we don’t succeed, then something is wrong with us. Incorrect!
Happiness is a result; it is the result of following our passions, and going after our dreams. It is a product of giving to others and being of service to the world. Let’s stop beating our heads against the wall in a useless effort and learn the alchemy that will result in real joy!
Solve the mystery of happiness and learn how to get our share of the fun and fulfillment that is life’s promise!


Replays Available! 

Purchase the series and take it at your own pace.

Go at your own pace!

$ 97

  • 3-Part Video Course
  • Replay of Live Classes + Workbook
  • Audio Replay of 3 Morning Practices
The proof is inarguable. Minute to minute techniques interact with your mind and begin to completely change your life.
Get out of your own way today. Why wait? Reignite your dreams and awaken your burning desires
Work directly with Thomas M. Jones, Co-Founder of The Paradox Process with over 50 years experience with CEOs, Award-winning performers, doctors, musicians, artists, social workers, psychologists, across the globe.

P.S. Still Curious?
Here's what clients shared about Thomas' work...

Life Changing

The Paradox Process is proving to be life changing. As a life and death trauma survivor, I have battled depression. OCD and PTSD for my entire adult life. For the first time, Paradox Process is giving me a workable, simple and effective skill set to actually move past the old conditioning and focus on what I want to create moving forward.

Amy Jordan Award-Winning Speaker, Author and Choreographer

LFG 2024!

The energy in The Manifestation Lab could be felt from your fingers to your toes. I left with so many tools to manifest bigger and better. I have a game plan now thanks to Thomas, LFG 2024!

–Midge Denton, Costumer

A new way to look at relationships!

While healthy relationships can be hard work, Thomas M. Jones shows how fulfilling and rewarding they can be.

– Jill Lesko of Women Helping Women, President of the Board

-- begin --
Simulated powder diffraction line list of CeZr for Cu Kα X-rays, from the PBE geometry in Alexandria.

Atomic structure:
Cell: 3.234 4.761 6.503 Å, 90.00 90.00 90.00°
Fractional coordinates of all 4 atoms:
Ce: 0.250 0.250 0.121
Ce: 0.750 0.750 0.879
Zr: 0.250 0.250 0.607
Zr: 0.750 0.750 0.393

Peak list (6 most intense, 2θ = 10–90°, in order of falling intensity)
(1 1 0), 2θ 33.50, rel. 100.0
(0 1 2), 2θ 33.37, rel. 98.8
(1 0 2), 2θ 39.29, rel. 62.9
(1 2 2), 2θ 55.66, rel. 45.0
(0 2 0), 2θ 37.79, rel. 35.9
(1 3 0), 2θ 65.49, rel. 27.6

Simulated powder diffraction line list of CeZr for Cu Kα X-rays, from the PBE geometry in Alexandria.

Atomic structure:
Cell: 5.613 3.236 10.982 Å, 90.00 90.02 90.00°
Fractional coordinates of all 8 atoms:
Ce: 0.166 0.000 0.129
Ce: 0.334 0.500 0.871
Ce: 0.666 0.500 0.129
Ce: 0.834 0.000 0.871
Zr: 0.165 0.000 0.617
Zr: 0.335 0.500 0.383
Zr: 0.665 0.500 0.617
Zr: 0.835 0.000 0.383

Peak list (6 most intense, 2θ = 10–90°, in order of falling intensity)
(2 0 2), 2θ 35.96, rel. 100.0
(0 0 4), 2θ 32.61, rel. 28.5
(1 1 0), 2θ 31.91, rel. 23.2
(2 0 6), 2θ 60.39, rel. 20.7
(3 1 -4), 2θ 67.11, rel. 20.6
(3 1 0), 2θ 56.86, rel. 17.5

=====

This entry pairs a crystal structure of Li5Fe3Sb2O10 with its theoretical X-ray diffraction stick pattern. Radiation: Cu Kα. Structure: a DFT-relaxed cell (PBE+U, Alexandria).
Neutral-atom scattering factors, no anomalous dispersion.

```
Li5Fe3Sb2O10
1.0
5.412 0.000 0.000
-1.675 8.186 0.000
-1.697 -4.025 9.643
Li Fe Sb O
10 6 4 20
Cartesian
0.000 0.000 0.000
-2.474 6.002 4.845
-0.954 5.010 1.011
-1.751 2.993 5.855
-0.908 0.212 6.740
0.005 2.231 1.970
-1.157 2.540 8.664
0.017 4.637 3.937
1.651 1.372 7.612
2.913 3.542 3.008
0.830 -0.712 2.838
0.062 -2.658 7.675
1.821 -1.059 5.717
2.679 1.048 1.009
3.600 0.640 3.829
2.746 -1.286 8.721
0.881 1.805 4.771
1.725 3.861 0.021
1.866 6.319 1.915
1.041 4.339 6.880
-2.511 3.700 7.793
-0.764 2.483 3.804
-1.642 0.517 8.777
0.064 -0.094 4.672
0.898 2.029 0.155
-0.764 5.347 5.697
0.227 7.144 1.062
-0.025 1.989 6.525
0.944 4.473 1.844
0.843 -0.584 7.871
1.759 1.368 2.956
2.780 -1.409 3.716
1.920 -3.163 8.832
2.540 5.745 0.035
1.803 3.584 4.756
2.496 0.926 5.683
3.356 3.155 0.962
4.428 -0.049 1.818
3.583 -1.921 6.714
3.502 5.584 2.776
```

Principal peaks in the range 2θ from 15° to 90°, in order of rising 2θ:
| two_theta | d [Å] | I (rel.) | (hkl) |
| --- | --- | --- | --- |
| 17.27 | 5.136 | 49.0 | 1 0 0 |
| 17.60 | 5.039 | 100.0 | 0 1 -2 |
| 21.93 | 4.053 | 31.6 | 1 0 -2 |
| 25.46 | 3.499 | 24.9 | 0 1 2 |
| 33.63 | 2.665 | 16.6 | 2 -1 0 |
| 34.14 | 2.627 | 18.6 | -1 2 2 |
| 35.24 | 2.547 | 30.8 | 1 1 2 |
| 35.64 | 2.519 | 19.9 | 0 2 -4 |
| 40.09 | 2.249 | 50.8 | 1 3 -2 |
| 40.95 | 2.204 | 44.0 | 2 -2 2 |
| 41.94 | 2.154 | 40.5 | -1 1 4 |
| 59.80 | 1.547 | 25.3 | -3 3 2 |
-- stop --

Mondays are Great!

I’m so excited for Mondays. This is a such great experience. I always left feeling empowered to move forward on whatever issue I was working on. It is so uplifting and inspiring!

– Marc C.

Self-knowledge is the key to Personal Power
Unlock your Mind
This class will challenge you week after week—reigniting dreams and reawakening burning desires. We’ll show you how The Paradox Process tools interact with your mind and completely change your life.
Create Community
A like-minded group gives us courage, a real sense of “We can do it.” When one of us has a breakthrough, we all win. Everyone feels encouraged to face issues and to fight harder to become who we can be.
Be Brilliant
Discover the real you, an incredible being with amazing potential. You have gifts, inspiration, and a passion for life. This inner you has confidence that is unstoppable and full of great joy and satisfaction.

After purchasing, you will be prompted to sign up for your own personal account on our membership site Thinkific. All of the material for the series will be accessible in one spot. 

* All classes are on zoom. 
* Replays are posted to the Paradox Thinkific portal within 24hrs.

 All sales are final and non-refundable.

Have questions? Email [email protected]